• 2 Posts
Joined 11 months ago
Cake day: July 28th, 2023

  • Once again you seem to be calling for not bothering with any security effort of there’s even a remote chance of some other vulnerability happening.

    The whole point of security is that it’s always a multi-layered thing. Nobody sane is pretending that encrypting web traffic with HTTPS is a panacea that’s going to solve all your data security needs. But it is sure as hell a million times better than having all of your data transmitted in the clear, with absolutely no assurance that you’re are talking to the system you think you’re talking to, or that the data hasn’t been tampered with in transit.

Calculated molecules, as found in the file
No. 1
Entry from the Open Molecules 2025 dataset: a 2-piece molecular cluster, C6H13NO2 overall (wB97M-V/def2-TZVPD).

Geometry as XYZ:
```
22
Properties=species:S:1:pos:R:3:forces:R:3:nbo_charge:R:1
C 1.789361 -0.005592 -0.513242 -0.634 -0.219 0.548 0.337
C -0.889282 -0.986668 1.051750 -0.320 -0.371 -0.437 -0.163
C -0.187948 0.274307 0.663263 0.880 -0.029 -0.334 -0.185
C 2.407164 1.345317 -0.336377 -0.115 -0.001 0.012 -0.690
C -2.378739 -1.139096 0.809277 0.120 0.104 -0.004 -0.634
C -0.849936 1.154443 -0.345831 -0.013 -0.078 0.016 -0.671
O 1.433234 -0.313176 -1.729697 -0.497 -0.317 -0.108 -0.681
N -0.004231 -1.711469 0.104707 0.107 0.430 -0.935 0.077
O -0.403820 -1.750701 -1.106777 -0.239 -0.020 1.312 -0.495
H 0.698163 -1.096414 -1.703437 0.715 0.446 0.039 0.496
H 2.171301 -0.804097 0.118217 0.044 0.081 -0.058 0.175
H -0.605013 -1.320505 2.049297 0.027 0.010 -0.079 0.206
H 0.403580 0.726892 1.447864 -0.039 0.034 0.028 0.210
H 3.435341 1.299169 -0.711074 -0.061 -0.020 0.005 0.238
H 1.876205 2.099298 -0.914165 0.000 0.002 0.003 0.226
H 2.447215 1.634847 0.713364 -0.012 -0.025 -0.027 0.221
H -2.690797 -2.158517 1.041451 0.006 0.037 0.033 0.220
H -2.933672 -0.448023 1.445779 -0.015 -0.037 -0.007 0.216
H -2.631625 -0.939966 -0.229743 0.022 0.026 0.000 0.229
H -1.862473 1.435051 -0.041708 -0.008 -0.049 -0.014 0.216
H -0.289772 2.073679 -0.506691 0.037 -0.024 -0.008 0.216
H -0.934257 0.631222 -1.306228 -0.005 0.018 0.014 0.234
```
Forces are in eV/Å.

charge = 0
HOMO energy (alpha / beta) = -8.17 / -8.18 eV
relative energy (zero: lowest compared OMol25 entry of this formula, charge and spin) = 126.29 kcal per mole
Kohn-Sham gap (alpha / beta) = 8.63 / 8.63 eV

=====

No. 2
Entry from the Open Molecules 2025 dataset: a 2-piece molecular cluster, CH2FNO2 overall (wB97M-V/def2-TZVPD).

Geometry as XYZ:
```
7
Properties=species:S:1:pos:R:3:forces:R:3:nbo_charge:R:1
C 0.282340 -0.191186 -0.177428 -0.994 -0.761 -0.403 -0.202
N 1.486620 -0.393081 -0.050326 -0.353 -1.255 0.892 0.151
O 2.499976 0.179053 0.126277 3.671 1.538 -0.570 -0.073
O 2.908447 1.977511 -0.417023 -1.363 -0.618 1.542 -0.133
F 3.468825 1.862191 -1.650228 0.341 -0.412 -0.929 -0.151
H -0.094219 0.720162 -0.410881 -0.726 3.143 -0.709 0.200
H -0.432442 -0.947251 -0.140444 -0.577 -1.636 0.176 0.208
```
Forces are in eV/Å.

charge = 0
HOMO energy (alpha / beta) = -9.69 / -9.69 eV
relative energy (zero: lowest compared OMol25 entry of this formula, charge and spin) = 174.03 kcal per mole
Kohn-Sham gap (alpha / beta) = 7.91 / 7.91 eV

=====

No. 3
Entry from the Open Molecules 2025 dataset: one molecule with the formula C6H9N (wB97M-V/def2-TZVPD).

Geometry as XYZ:
```
16
Properties=species:S:1:pos:R:3:forces:R:3:nbo_charge:R:1
C 1.392797 -1.614427 -1.444697 -0.641 0.237 2.747 -0.645
C 0.631283 -0.732910 -0.448653 0.986 0.209 -0.915 -0.095
C 0.823966 -0.761342 0.916106 -1.336 -0.168 0.211 0.029
N 0.129327 0.255407 1.516808 -1.441 1.511 -0.535 -0.566

    And don’t pretend https is a huge burden. It’s dead simple to get SSL/TLS certs, and the additional load of encrypting and decrypting the traffic is barely even a rounding error on modern CPUs.

  • (Art. I, 9, cl. 8): "[NJo Person holding any Office of Profit or Trust under [the United States], shall, without the Consent of the Congress, accept of any present, Emolument, Office, or Title, of any kind whatever, from any King, Prince, or foreign State’

What comes next are calculated molecules, not part of the page:
=====
<a>
The following is a quantum chemistry calculation of C2HNO2S as an isolated structure, from the Open Molecules 2025 dataset.

Results
Kohn-Sham gap (alpha / beta) in eV: 6.7 / 6.7
Net charge: 0

Last column: natural (NBO) charge in e.
Geometry (Å):
C -1.158 -0.028 0.214  0.08
C -0.300 0.760 -0.413  0.50
N -1.345 1.300 0.364  -0.27
O 1.743 -1.597 -0.046  -0.90
O 0.855 0.784 -1.032  -0.59
S 1.639 -0.218 0.310  0.93
H -1.435 -1.000 0.602  0.26

<b>
The following is a quantum chemistry calculation of C2HNO2S as an isolated structure, from the Open Molecules 2025 dataset.

Results
Kohn-Sham gap in eV: 10.0
Net charge: 0

Last column: natural (NBO) charge in e.
Geometry (Å):
C 1.055 0.305 0.060  0.34
C -0.998 -0.734 -0.091  0.73
N 0.472 1.431 -0.072  -0.60
O -1.830 -1.539 -0.002  -0.51
O 0.307 -0.853 -0.085  -0.48
S -1.147 1.350 -0.038  0.32
H 2.142 0.039 0.227  0.21

Most stable structure, least stable structure: <b>, <a>.

<a>
The following is a quantum chemistry calculation of a 2-piece molecular cluster, C2H8N2O2 overall, from the Open Molecules 2025 dataset.

Results
Kohn-Sham gap in eV: 9.4
SMILES: O=CO.NCN
Net charge: 0

Last column: natural (NBO) charge in e.
Geometry (Å):
N -0.783 0.967 0.516  -0.90
C -1.273 -0.353 0.360  -0.04
N -2.081 -0.547 -0.859  -0.85
H -1.400 1.670 0.884  0.37
H 0.154 1.327 0.511  0.40
H -1.900 -0.680 1.193  0.17
H -0.367 -0.967 0.360  0.15
H -1.547 -1.048 -1.553  0.35
H -2.218 0.376 -1.247  0.36
O 2.046 1.344 -0.364  -0.53
C 2.280 0.276 0.099  0.65
O 2.672 -0.785 -0.662  -0.70
H 2.234 0.000 1.167  0.10
H 2.183 -1.582 -0.406  0.49

<b>
The following is a quantum chemistry calculation of a 2-piece molecular cluster, C2H8N2O2 overall, from the Open Molecules 2025 dataset.

Results
Kohn-Sham gap in eV: 9.6
SMILES: NCNC=O.O
Net charge: 0

Last column: natural (NBO) charge in e.
Geometry (Å):
O -2.462 -1.533 -0.989  -0.61
C -2.031 -0.644 -0.291  0.53
N -0.729 -0.254 -0.299  -0.64
C 0.446 -1.066 -0.648  -0.06
N 1.450 -1.046 0.379  -0.87
H -2.599 -0.057 0.447  0.11
H -0.494 0.643 0.092  0.40
H 0.055 -2.042 -0.909  0.22
H 0.887 -0.655 -1.547  0.17
H 1.803 -0.156 0.663  0.38
H 1.432 -1.860 0.965  0.38
H 1.355 2.795 1.197  0.47
H 0.453 3.149 0.037  0.47
O 0.434 2.724 0.903  -0.94

Most stable structure, least stable structure: <b>, <a>.

<a>
The following is a quantum chemistry calculation of a 2-piece molecular cluster, C2H8N2O2 overall, from the Open Molecules 2025 dataset.

Results
Kohn-Sham gap in eV: 10.5
SMILES: NC(=O)O.CN
Net charge: 0

Last column: natural (NBO) charge in e.
Geometry (Å):
C -1.900 0.938 -0.853  -0.41
N -0.479 0.646 -1.000  -0.86
H -2.183 1.920 -1.256  0.17
H -2.191 0.979 0.194  0.19
H -2.522 0.202 -1.355  0.20
H -0.228 0.541 -1.975  0.37
H 0.102 1.413 -0.677  0.37
N 0.802 -1.535 0.689  -0.89
C 1.962 -0.948 1.124  0.88
O 1.777 0.335 1.522  -0.70
O 3.028 -1.485 1.177  -0.61
H 0.877 -2.490 0.436  0.40
H 0.102 -0.969 0.203  0.42
H 0.853 0.454 1.770  0.48

<b>
=====
End of the calculated molecules:

    Unfortunately this doesn’t sufficiently cover things like 'Random Russian Billionaire Oligarch" so long as there is the slightest modicum of a veil of separation from “any King, Prince or State”.

    So for example, as long as Putin secretly tells his billionaire buddy to go pay off Trump and to keep it hush hush, this clause is even more toothless than it already is in practice.

  • They have one called “Pink Drink”. It’s not available bottled, The only place I ever had it was at Austin City limits Festival a few years before the pandemic. It’s kind of a Prickly-pear Lemonade flavored soda. It was without a doubt the most delicious, refreshing beverage I have ever consumed, and the fact that I’ve never been able to find it since then is actually one of the biggest disappointments of my life.

  • If you’re not either participating in politics by voting, running for office or campaigning; or actively attempting to overthrow the government, then you are accepting whatever government we have and whatever government gets voted in.

• Calculated molecules that have nothing to do with the piece:
<<<
Entry w
105
Properties=species:S:1:pos:R:3 method="wB97M-V/def2-TZVPD" smiles="CCOS(C)(=O)=O.CCOS(C)(=O)=O.CCOS(C)(=O)=O.CCOS(C)(=O)=O.CCOS(C)(=O)=O.CCOS(C)(=O)=O.CCOS(C)(=O)=O" orbital_gap_ev=11.049 lumo_energy_ev=0.16
C 2.68832 2.03518 -6.88199
C 2.72385 2.85458 -5.61212
O 2.34679 2.00519 -4.49108
S 3.30078 1.92059 -3.24583
C 4.40926 0.63482 -3.74915
O 4.06922 3.11386 -3.18346
O 2.54729 1.42669 -2.14831
H 1.76548 1.46681 -7.00658
H 3.55335 1.38588 -7.02471
H 2.72146 2.72709 -7.73283
H 3.70257 3.29676 -5.45773
H 1.97249 3.64092 -5.63180
H 4.84539 0.95295 -4.69856
H 3.82075 -0.25177 -3.96866
H 5.18450 0.56147 -2.99494
C 4.15468 4.97514 3.90749
C 3.01603 4.63952 2.98848
O 3.43438 4.84849 1.62027
S 3.03002 3.74272 0.54857
C 4.04382 2.37266 1.02090
O 1.66527 3.38779 0.78144
O 3.46777 4.28823 -0.67404
H 5.09476 4.52138 3.56987
H 4.00401 4.56348 4.90493
H 4.37364 6.04212 3.92266
H 2.68885 3.60379 3.10295
H 2.14322 5.26031 3.18898
H 4.38934 1.89654 0.10699
H 3.42080 1.66989 1.56634
H 4.84625 2.76251 1.63788
C -4.36488 -0.43089 8.39451
C -3.68001 -0.63477 7.05827
O -4.60773 -0.24516 6.02630
S -3.99748 0.26787 4.65398
C -3.10811 -1.14660 4.09989
O -5.13113 0.45582 3.80985
O -3.08460 1.33037 4.90417
H -5.28180 -1.02164 8.44461
H -4.64029 0.60745 8.57089
H -3.72414 -0.75943 9.21383
H -2.77479 -0.02858 7.01031
H -3.44400 -1.68877 6.90637
H -2.69104 -0.90986 3.12114
H -3.77471 -2.00221 4.09750
H -2.22460 -1.26749 4.72701
C 1.52263 -1.49369 -7.30662
C 1.45606 -1.95611 -5.86936
O 0.82829 -0.90753 -5.10344
S 0.64838 -1.10098 -3.55332
C -0.50744 -2.42305 -3.41270
O 1.89012 -1.58956 -3.04050
O 0.04997 0.07190 -3.03402
H 2.30257 -0.76674 -7.52709
H 0.57255 -1.02239 -7.57201
H 1.62608 -2.37038 -7.94596
H 0.89249 -2.88715 -5.82878
H 2.44668 -2.13611 -5.45106
H -0.19210 -3.21936 -4.07805
H -1.50614 -2.08003 -3.66314
H -0.43751 -2.77787 -2.38707
C 2.22848 -0.68902 3.76919
C 3.19310 -1.62410 3.07729
O 3.18864 -1.24447 1.67592
S 3.99734 -2.13771 0.65201
C 2.74277 -3.25241 0.11097
O 4.35114 -1.29618 -0.43812
O 5.02421 -2.81575 1.35882
H 2.53330 -0.54319 4.80735
H 1.18006 -0.97814 3.76683
H 2.31603 0.28763 3.28845
H 4.19789 -1.49288 3.47110
H 2.90911 -2.67278 3.17621
H 3.27322 -4.11135 -0.29272
H 2.16221 -2.71698 -0.63516
H 2.12090 -3.53498 0.95619
C -3.52865 -3.18840 -0.17684
C -4.79124 -2.71498 0.48441
O -5.58287 -2.04906 -0.53759
S -7.03914 -1.55418 -0.13237
C -6.68308 -0.10982 0.81565
O -7.66429 -1.18468 -1.34767
O -7.60803 -2.54792 0.71567
H -2.84800 -3.51971 0.61032
H -3.05076 -2.46088 -0.82393
H -3.76663 -4.06923 -0.77871
H -5.36323 -3.55422 0.87378
H -4.60148 -2.00627 1.29605
H -7.55847 0.53111 0.79680
H -5.84770 0.37173 0.31122
H -6.40589 -0.40156 1.82097
C -3.47775 0.50614 -1.68703
C -2.30391 0.85616 -0.78760
O -1.62362 -0.37336 -0.48750
S -0.69565 -0.40732 0.80357
C 0.72988 0.31396 0.10909
O -1.26474 0.42962 1.80303
O -0.47562 -1.78551 1.09552
H -3.13454 0.04169 -2.61851
H -4.00841 1.39060 -2.04159
H -4.15296 -0.19860 -1.20598
H -1.62556 1.53516 -1.30642
>>>

    There’s nothing morally wrong in voting for the less-bad of available. options now, while still working toward changes that give us better choices in the future. If nothing else, if you really cared about how this country and world runs, you would at least be voting for whoever you think will give you even a SLIGHTLY better chance of allowing or enabling the change you want to see.

    The absolute least useful thing you could possibly do is throw up your hands and give up and not participate. As a matter of fact, that’s exactly what extremes on both ends of the political spectrum want you to do. The fewer people who participate, the easier it is for them to get away with all the money and power.